Request >
Set down the calculation results further below from the line with "5.41699)" to the end without altering anything.

Material >
+++
Entry from the Open Molecules 2025 dataset: a 7-piece molecular cluster, C35H63INO22P overall in a non-equilibrium geometry (the ωB97M-V functional and the def2-TZVPD basis).

Atoms and positions in Å:
C (-1.53727, -1.62765, 1.62294)
C (-1.50023, -0.07080, 1.72684)
C (-2.97536, 0.42493, 1.86913)
I (-3.84758, 0.83931, -0.07588)
C (-3.19799, 1.54390, 2.87431)
C (-3.10939, 1.31824, 4.16724)
P (-2.72168, -0.29537, 4.92641)
O (-3.93078, -1.16551, 4.85426)
C (-3.39630, 2.48602, 5.09383)
O (-2.81284, 2.66237, 6.09663)
C (-4.52603, 3.38113, 4.61123)
O (-5.42671, 3.87125, 5.50064)
C (-6.07427, 2.75785, 6.15794)
C (-7.63669, 2.86521, 6.18612)
C (-8.16921, 4.23344, 5.71979)
C (-8.30843, 1.67357, 5.44326)
C (-7.98854, 0.30562, 6.12468)
C (-7.86146, 1.62018, 3.95167)
C (-4.61024, 3.62976, 3.32577)
C (-5.73001, 4.48853, 2.77134)
C (-5.87238, 4.46444, 1.24201)
N (-6.79574, 3.38621, 0.78368)
C (-3.55229, 2.98004, 2.46998)
O (-2.99004, 3.51006, 1.57951)
H (-2.47082, -1.87999, 1.09855)
H (-0.72075, -2.02645, 1.01682)
H (-1.61490, -2.09616, 2.60885)
H (-1.12940, 0.30037, 0.76741)
H (-0.88196, 0.27279, 2.56080)
H (-3.56286, -0.42554, 2.23423)
H (-1.63194, -0.93407, 4.30062)
H (-2.46159, -0.04191, 6.29586)
H (-5.71637, 2.67084, 7.19179)
H (-5.85396, 1.79468, 5.67557)
H (-7.92729, 2.73002, 7.23866)
H (-8.20273, 4.35970, 4.63704)
H (-7.54697, 5.00950, 6.18061)
H (-9.17407, 4.36039, 6.14237)
H (-9.39133, 1.85060, 5.41699)
H (-7.70079, -0.38740, 5.32629)
H (-8.81609, -0.09743, 6.71180)
H (-7.08436, 0.39679, 6.74198)
H (-8.41707, 2.40173, 3.41795)
H (-6.79556, 1.84276, 3.81901)
H (-8.06006, 0.64855, 3.49199)
H (-5.68720, 5.51814, 3.14319)
H (-6.65921, 4.07125, 3.17577)
H (-4.93054, 4.43419, 0.69104)
H (-6.35263, 5.41956, 0.96112)
H (-6.70092, 3.35057, -0.23047)
H (-7.72850, 3.77780, 0.90525)
C (4.17120, -4.44836, 1.12700)
O (4.35625, -3.65717, -0.04822)
C (3.37021, -2.79087, -0.29229)
O (2.38162, -2.63661, 0.37857)
O (3.67136, -2.12597, -1.40894)
C (2.69834, -1.15459, -1.79792)
H (5.03267, -5.10697, 1.21338)
H (4.12279, -3.81842, 2.01424)
H (3.27325, -5.05911, 1.04394)
H (2.59188, -0.38878, -1.03026)
H (1.73936, -1.63030, -1.99986)
H (3.05723, -0.68794, -2.71257)
C (2.68343, 2.48624, -5.93550)
O (2.78230, 1.55189, -7.01303)
C (3.11131, 0.31683, -6.64046)
O (3.32059, -0.04925, -5.50952)
O (3.17073, -0.44570, -7.73331)
C (3.51121, -1.81179, -7.48614)
H (2.41438, 3.44892, -6.36175)
H (1.90521, 2.18599, -5.23492)
H (3.64066, 2.58681, -5.42571)
H (2.76410, -2.28528, -6.85051)
H (4.49885, -1.88847, -7.03504)
H (3.52515, -2.31764, -8.44800)
C (10.76115, -1.17727, -4.89467)
O (9.42677, -1.30149, -4.40276)
C (8.51678, -0.62068, -5.10551)
O (8.73722, 0.05648, -6.07744)
O (7.32388, -0.82149, -4.54395)
C (6.24463, -0.14782, -5.19728)
H (11.39945, -1.77052, -4.24466)
H (10.83498, -1.56517, -5.90980)
H (11.08978, -0.13943, -4.85840)
H (6.14112, -0.49629, -6.22441)
H (6.39684, 0.93152, -5.17323)
H (5.33718, -0.38227, -4.65601)
C (6.89456, 5.09553, -6.54540)
O (5.61057, 5.53412, -6.09572)
C (5.55486, 6.82774, -5.76835)
O (6.46635, 7.61116, -5.82314)
O (4.30886, 7.09947, -5.36907)
C (4.09976, 8.45895, -4.98465)
H (6.80926, 4.03685, -6.77825)
H (7.18994, 5.63066, -7.44664)
H (7.64082, 5.22392, -5.76270)
H (4.28418, 9.12866, -5.82351)
H (4.73493, 8.72199, -4.13994)
H (3.05917, 8.55111, -4.68382)
C (-7.26979, -4.71196, -0.82991)
O (-7.47552, -4.50451, 0.56665)
C (-6.41953, -3.98990, 1.20580)
O (-5.36197, -3.70459, 0.70569)
O (-6.74107, -3.84551, 2.49164)
C (-5.69675, -3.29315, 3.30476)
H (-8.19004, -5.12906, -1.23162)
H (-7.06207, -3.76825, -1.33288)
H (-6.45947, -5.42016, -0.99883)
H (-5.43073, -2.29347, 2.96633)
H (-4.82225, -3.94208, 3.30074)
H (-6.07880, -3.22624, 4.31948)
C (8.98509, -9.44879, 2.13692)
O (9.16981, -8.65894, 0.96184)
C (8.18156, -7.79424, 0.72074)
O (7.19399, -7.64321, 1.39454)
O (8.47754, -7.12607, -0.39550)
C (7.49589, -6.16018, -0.77309)
H (9.84752, -10.10516, 2.22122)
H (8.93640, -8.81614, 3.02219)
H (8.08608, -10.05803, 2.05375)
+++

Here it is >
H (-9.39133, 1.85060, 5.41699)
H (-7.70079, -0.38740, 5.32629)
H (-8.81609, -0.09743, 6.71180)
H (-7.08436, 0.39679, 6.74198)
H (-8.41707, 2.40173, 3.41795)
H (-6.79556, 1.84276, 3.81901)
H (-8.06006, 0.64855, 3.49199)
H (-5.68720, 5.51814, 3.14319)
H (-6.65921, 4.07125, 3.17577)
H (-4.93054, 4.43419, 0.69104)
H (-6.35263, 5.41956, 0.96112)
H (-6.70092, 3.35057, -0.23047)
H (-7.72850, 3.77780, 0.90525)
C (4.17120, -4.44836, 1.12700)
O (4.35625, -3.65717, -0.04822)
C (3.37021, -2.79087, -0.29229)
O (2.38162, -2.63661, 0.37857)
O (3.67136, -2.12597, -1.40894)
C (2.69834, -1.15459, -1.79792)
H (5.03267, -5.10697, 1.21338)
H (4.12279, -3.81842, 2.01424)
H (3.27325, -5.05911, 1.04394)
H (2.59188, -0.38878, -1.03026)
H (1.73936, -1.63030, -1.99986)
H (3.05723, -0.68794, -2.71257)
C (2.68343, 2.48624, -5.93550)
O (2.78230, 1.55189, -7.01303)
C (3.11131, 0.31683, -6.64046)
O (3.32059, -0.04925, -5.50952)
O (3.17073, -0.44570, -7.73331)
C (3.51121, -1.81179, -7.48614)
H (2.41438, 3.44892, -6.36175)
H (1.90521, 2.18599, -5.23492)
H (3.64066, 2.58681, -5.42571)
H (2.76410, -2.28528, -6.85051)
H (4.49885, -1.88847, -7.03504)
H (3.52515, -2.31764, -8.44800)
C (10.76115, -1.17727, -4.89467)
O (9.42677, -1.30149, -4.40276)
C (8.51678, -0.62068, -5.10551)
O (8.73722, 0.05648, -6.07744)
O (7.32388, -0.82149, -4.54395)
C (6.24463, -0.14782, -5.19728)
H (11.39945, -1.77052, -4.24466)
H (10.83498, -1.56517, -5.90980)
H (11.08978, -0.13943, -4.85840)
H (6.14112, -0.49629, -6.22441)
H (6.39684, 0.93152, -5.17323)
H (5.33718, -0.38227, -4.65601)
C (6.89456, 5.09553, -6.54540)
O (5.61057, 5.53412, -6.09572)
C (5.55486, 6.82774, -5.76835)
O (6.46635, 7.61116, -5.82314)
O (4.30886, 7.09947, -5.36907)
C (4.09976, 8.45895, -4.98465)
H (6.80926, 4.03685, -6.77825)
H (7.18994, 5.63066, -7.44664)
H (7.64082, 5.22392, -5.76270)
H (4.28418, 9.12866, -5.82351)
H (4.73493, 8.72199, -4.13994)
H (3.05917, 8.55111, -4.68382)
C (-7.26979, -4.71196, -0.82991)
O (-7.47552, -4.50451, 0.56665)
C (-6.41953, -3.98990, 1.20580)
O (-5.36197, -3.70459, 0.70569)
O (-6.74107, -3.84551, 2.49164)
C (-5.69675, -3.29315, 3.30476)
H (-8.19004, -5.12906, -1.23162)
H (-7.06207, -3.76825, -1.33288)
H (-6.45947, -5.42016, -0.99883)
H (-5.43073, -2.29347, 2.96633)
H (-4.82225, -3.94208, 3.30074)
H (-6.07880, -3.22624, 4.31948)
C (8.98509, -9.44879, 2.13692)
O (9.16981, -8.65894, 0.96184)
C (8.18156, -7.79424, 0.72074)
O (7.19399, -7.64321, 1.39454)
O (8.47754, -7.12607, -0.39550)
C (7.49589, -6.16018, -0.77309)
H (9.84752, -10.10516, 2.22122)
H (8.93640, -8.81614, 3.02219)
H (8.08608, -10.05803, 2.05375)